Adding a new user for the Edutrak Admin Site and/or the LCS Admin Site and/or serving lines.

=====
Record 1
Diffraction record for Sr4LaFe2Co3O15. The powder diffractogram is calculated, not measured: it uses a PBE+U-relaxed structure and CuKα.
Intensities are scaled so that the largest is 100.

Peak list (10 most intense, 2θ = 10–80°, in order of rising 2θ)
Position (°2θ)	Rel. int.
32.3	100
32.4	99
32.6	97
40.0	39
46.0	38
46.5	36
47.1	34
57.5	29
57.8	28
58.2	36

Structural model:
Lattice parameters (Å, degrees): 5.4884 6.7596 8.7865 74.16 72.11 89.53
Space group P-1 (No. 2)
Inequivalent atoms, fractional coordinates:
Sr: 0.1023 0.4002 0.2990 (multiplicity 2)
Sr: 0.3029 0.2001 0.9006 (multiplicity 2)
La: 0.5000 0.0000 0.5000 (multiplicity 1)
Fe: 0.2985 0.6985 0.9020 (multiplicity 2)
Co: 0.1030 0.9005 0.2988 (multiplicity 2)
Co: 0.5000 0.5000 0.5000 (multiplicity 1)
O: 0.0000 0.0000 0.5000 (multiplicity 1)
O: 0.0000 0.5000 0.0000 (multiplicity 1)
O: 0.0989 0.9151 0.7867 (multiplicity 2)
O: 0.1963 0.8043 0.0969 (multiplicity 2)
O: 0.2280 0.3082 0.5914 (multiplicity 2)
O: 0.2837 0.7132 0.3955 (multiplicity 2)
O: 0.3936 0.6115 0.6934 (multiplicity 2)
O: 0.4078 0.1006 0.2089 (multiplicity 2)
O: 0.5000 0.5000 0.0000 (multiplicity 1)

***

Record 2
Diffraction record for BaDyFe4O7. The powder diffractogram is calculated, not measured: it uses a PBE+U-relaxed structure and CuKα.
Intensities are scaled so that the largest is 100.

Peak list (10 most intense, 2θ = 10–80°, in order of rising 2θ)
Position (°2θ)	Rel. int.
16.9	10
27.7	58
32.7	100
34.2	19
49.1	25
52.3	35
57.3	38
64.8	11
67.5	12
78.7	13

Structural model:
Lattice parameters (Å, degrees): 9.0938 9.0938 9.0938 90.00 90.00 90.00
Space group F-43m (No. 216)
Inequivalent atoms, fractional coordinates:
Ba: 0.0000 0.0000 0.0000 (multiplicity 4)
Dy: 0.2500 0.2500 0.7500 (multiplicity 4)
Fe: 0.1282 0.1282 0.3718 (multiplicity 16)
O: 0.0000 0.0000 0.5000 (multiplicity 4)
O: 0.0019 0.2500 0.7500 (multiplicity 24)

***

Record 3
Diffraction record for Li5Nb2Fe5O12. The powder diffractogram is calculated, not measured: it uses a PBE+U-relaxed structure and CuKα.
Intensities are scaled so that the largest is 100.

Peak list (10 most intense, 2θ = 10–80°, in order of rising 2θ)
Position (°2θ)	Rel. int.
17.7	100
19.1	69
23.3	82
30.3	37
34.1	29
36.0	52
41.1	94
41.2	94
43.1	77
59.4	27

Structural model:
Lattice parameters (Å, degrees): 5.2096 5.3122 10.2516 84.06 77.77 60.82
Space group P1 (No. 1)
Inequivalent atoms, fractional coordinates:
Li: 0.0000 0.0000 0.0000 (multiplicity 1)
Li: 0.0929 0.3078 0.7557 (multiplicity 1)
Li: 0.3384 0.2995 0.0042 (multiplicity 1)
Li: 0.5010 0.9979 0.5138 (multiplicity 1)
Li: 0.8527 0.2991 0.5096 (multiplicity 1)
Nb: 0.4132 0.6519 0.7558 (multiplicity 1)
Nb: 0.9083 0.6662 0.2553 (multiplicity 1)
Fe: 0.1752 0.6447 0.5086 (multiplicity 1)
Fe: 0.2533 0.9700 0.2561 (multiplicity 1)
Fe: 0.6037 0.3012 0.2576 (multiplicity 1)
Fe: 0.6777 0.6355 0.0003 (multiplicity 1)
Fe: 0.7576 0.9842 0.7580 (multiplicity 1)
O: 0.0591 0.6428 0.8775 (multiplicity 1)
=====

This article will explain how to give a new employee access to the Edutrak Admin Site and/or the LCS admin site and/or serving lines.

The first step in the process of creating a new user in Edutrak is to determine what they will actually need access to. For example, will they need access to the Edutrak Admin Site and the LCS Admin site, as well as serving line access? Or will they only need access to one or two of these?


If a user needs access to the EduTrak Software District Site, the process starts with the EduTrak tech support team. Please create a support ticket by going to District Site>Support>Contact Support>Create a ticket. We will need the user's first name, last name and their email. We will need to know if they should have full permissions or limited permissions. We will also need to know if they should be able to view the free and reduced information within the EduTrak Software District Site.



* Full permissions allow the user to view and edit all information on the Wordware District Site. An example is shown here:




There are also options for who can view and/or edit free and reduced information. Users who have full permission can have either view only or view/edit permissions to the free and reduced information.

In addition, users with full permissions have the option of seeing the finance reports.



* Limited permission allow the user to view the family and student information and the support tab. Limited users cannot edit information, submit payments to accounts or view the free and reduced statuses.




IMPORTANT NOTE: When submitting a request for a new EduTrak Software District Site user, please specify which permission level the user should be given. 


When we get your request, we will create the user on our end and email them a random password they will use to access the EduTrak Software District Site. Once they sign in, they will need to go to Profile/Password>Update Profile. They will create a new password here.





If this user also needs access to the LCS Admin Site and/or the serving lines, you will need to go to LCS1000>User Management>User List.





Click the "Download District Users" link at the top of the page.





You will be asked to confirm this action. Click "OK"




This will pull the username and password from the District Site to the LCS site. That way, the same username and password will be used for both the District Site and the LCS.  Keep in mind, you will not want to download the district users until the new District Site user has changed their password.


Once the username and password have been pulled to the LCS Admin site, they will show up in the LCS1000>User Management>User List. To modify their permissions, click on the blue User ID next to their name.




If the user should have Admin permissions to the LCS1000, this box should be checked. Admin permissions to the LCS1000 include access to the Batch Edit tool, the system wide settings, the databridge (if applicable) and all the reports. If the user is a cashier/line user only, do not give access to the LCS1000.




If the user is a line user/cashier only, their permissions should look like this:



Note: for security purposes, we recommend the use of a password (rather than a PIN)  for all users, including your cashiers/line users.